
Saturday, February 26, 2022

• Misplaced calculated crystals:
- - -
The following is a PBE calculation of a geometry-optimized RbLiTcIr structure, from OQMD.

The space group is F-43m (No. 216) and the conventional cell measures 6.7505, 6.7505 and 6.7505 Å, with angles of 90.00, 90.00 and 90.00 degrees. The asymmetric unit holds Rb at (0.0000, 0.0000, 0.0000), Li at (0.0000, 0.0000, 0.5000), Tc at (0.2500, 0.2500, 0.2500) and Ir at (0.2500, 0.2500, 0.7500).

The energy above the lowest structure with this stoichiometry comes out at 0.546 eV/atom. The uncorrected energy is -62.093 eV/cell. The calculation puts the magnetization at 13.91 μB/cell.

The following is a PBE calculation of a geometry-optimized Rb2Ta2Cu structure, from OQMD.

The space group is I4_1/amd (No. 141, origin choice 2) and the conventional cell measures 6.0472, 6.0472 and 16.0250 Å, with angles of 90.00, 90.00 and 90.00 degrees. The asymmetric unit holds Rb at (0.0000, 0.0000, 0.0000), Ta at (0.0000, 0.2500, 0.2219) and Cu at (0.0000, 0.2500, 0.3750).

The uncorrected energy is -79.406 eV/cell. The calculation puts the magnetization at 15.15 μB/cell.

The following is a PBE calculation of a geometry-optimized Tc structure, from OQMD.

The space group is R-3m (No. 166, hexagonal axes) and the conventional cell measures 2.7665, 2.7665 and 6.4790 Å, with angles of 90.00, 90.00 and 120.00 degrees. The asymmetric unit holds Tc at (0.0000, 0.0000, 0.0000).

The energy above the lowest structure with this stoichiometry comes out at 0.099 eV/atom. The uncorrected energy is -30.786 eV/cell. The calculation puts the magnetization at 0.01 μB/cell.

* * * * *

1.
Crystalline FeSiCl2 at its relaxed geometry, computed with PBE.

Values from the calculation:
Total DFT energy (no corrections)   -4.496 eV per atom
SG   C2/m (12)
Formation energy from raw total energies   -0.101 eV/atom
Relative energy among the computed polymorphs   233 meV per atom

a = 7.452 Å, b = 7.452 Å, c = 3.938 Å
α = 95.70°, β = 95.70°, γ = 23.61°
Fractional coordinates of all 4 atoms:
Fe 0.000 0.000 0.000
Si 0.500 0.500 0.500
Cl 0.365 0.365 0.796
Cl 0.635 0.635 0.204

=====

2.
Crystalline FeSiCl2 at its relaxed geometry, computed with PBE.

Values from the calculation:
Total DFT energy (no corrections)   -4.466 eV per atom
SG   Cmm2 (35)
Formation energy from raw total energies   -0.071 eV/atom
Relative energy among the computed polymorphs   263 meV per atom

a = 3.412 Å, b = 3.412 Å, c = 9.042 Å
α = 90.00°, β = 90.00°, γ = 126.30°
Fractional coordinates of all 4 atoms:
Fe 0.000 0.000 0.000
Si 0.500 0.500 0.201
Cl 0.000 0.000 0.404
Cl 0.500 0.500 0.814

=====

3.
Crystalline FeSiCl at its relaxed geometry, computed with PBE.

Values from the calculation:
Total DFT energy (no corrections)   -5.401 eV per atom
SG   P-1 (2)
Formation energy from raw total energies   -0.157 eV/atom
Relative energy among the computed polymorphs   195 meV per atom

a = 3.208 Å, b = 3.939 Å, c = 8.857 Å
α = 95.70°, β = 94.85°, γ = 110.40°
Fractional coordinates of all 6 atoms:
Fe 0.117 0.189 0.141
- - -
• So much for the calculated crystals:

The Week's Progress

What started as feeling like a slow crawl of quilting on the fat quarter quilt borders has sped up some as I got into a rhythm of following the paisley designs in the fabric. It's not particularly straight forward with one paisley leading to the next, and there are times when I quilt myself into a corner or miss going into an area, requiring a stop or start in an odd place. Just keep reminding myself of the "aha" moment I had early in my learning to free motion quilt: Just because you are working on a "continuous" design doesn't mean that you have to stitch continuously and can't stop to reposition your hands or assess where to go next or even to backstitch and cut threads to start again in another spot. The beauty of this quilting is that it literally cannot be seen (except on the back) and thus I don't really need to worry about quilting exactly along the line of a paisley or those times when my stitches get uneven. I'm just going for the texture here and to highlight those paisley shapes. I know that when I first started quilting on the first border, I was pretty obsessed with going around every shape, even the small ones and that was making things slow going. But as I worked along the top border this week, I simply couldn't stop myself from continuing that somewhat, even though I want to go faster. As I finished the top border, I just rationalized that the borders may as well be densely quilted because the rest of the quilt is densely quilted as well.

I wasn't sure I'd get the whole border done by the end of the week so I was much pleased when I did. Side borders are a little longer I think but it would be nice to see each one finished in a week as well. I have to say, I still love the colors and the fabrics in this quilt, 20 years after I bought them. While I'll admit to having fabric in my stash who's colors and/or prints look dated, none of these in this quilt strike me that way. Good thing, huh?


  1. Anonymous9:52 AM

    Your paisley fabric is beautiful--I would never have guessed it wasn't something brand new! I admit that I do love those colors, so I'm probably not the best critic anyhow! The quilting makes it look soft & cozy. Slow & steady wins the race & you'll be finished & happy with your results soon! Jan in WY

  2. Thanks Jan! My thinking exactly about the "slow and steady" progress. I supposed that there's an off chance that the colors in these fabrics are so old that their popularity has had time to cycle back into the mainstream - lol
